Cold Spring Orchard

Cold Spring Orchard’s beautiful apples. 

### Misplaced calculated crystals
'''
# 1
The following is a PBE with a Hubbard U calculation of K2Na6V5Mo3O20 after structural relaxation, from the Materials Project database.

Unit cell a=11.2707 b=11.5946 c=16.7231 alpha=110.12 beta=109.07 gamma=90.02
Space group P1 (No. 1)
Symmetry-distinct sites (fractional):
K  0.0000  0.0000  0.0000 [1 per cell]
K  0.0001  0.4989  0.9993 [1 per cell]
K  0.2500  0.2723  0.9991 [1 per cell]
K  0.2509  0.7722  0.9992 [1 per cell]
K  0.3721  0.8673  0.2380 [1 per cell]
K  0.5024  0.4987  0.9991 [1 per cell]
K  0.7514  0.7728  0.9990 [1 per cell]
K  0.7521  0.2726  0.9995 [1 per cell]
Na  0.0075  0.4978  0.5084 [1 per cell]
Na  0.1024  0.1349  0.7186 [1 per cell]
Na  0.1120  0.1398  0.2279 [1 per cell]
Na  0.1135  0.6318  0.7186 [1 per cell]
Na  0.1136  0.6399  0.2280 [1 per cell]
Na  0.2592  0.2857  0.5089 [1 per cell]
Na  0.2592  0.7769  0.5081 [1 per cell]
Na  0.3622  0.3597  0.2283 [1 per cell]
Na  0.3636  0.3603  0.7199 [1 per cell]
Na  0.3637  0.8526  0.7208 [1 per cell]
Na  0.4976  0.5018  0.5111 [1 per cell]
Na  0.5029  0.0031  0.0087 [1 per cell]
Na  0.5090  0.0007  0.5112 [1 per cell]
Na  0.6007  0.6373  0.7174 [1 per cell]
Na  0.6113  0.1392  0.2273 [1 per cell]
Na  0.6119  0.6398  0.2278 [1 per cell]
Na  0.6145  0.1371  0.7190 [1 per cell]
Na  0.7452  0.7855  0.5092 [1 per cell]
Na  0.7501  0.2776  0.5093 [1 per cell]
Na  0.8481  0.8586  0.7177 [1 per cell]
Na  0.8533  0.3514  0.7179 [1 per cell]
Na  0.8611  0.8603  0.2279 [1 per cell]
Na  0.8628  0.3596  0.2282 [1 per cell]
Na  0.9982  0.0006  0.5088 [1 per cell]
V  0.1973  0.4790  0.8589 [1 per cell]
V  0.2015  0.9783  0.8600 [1 per cell]
V  0.2043  0.9888  0.3726 [1 per cell]
V  0.2070  0.4840  0.3700 [1 per cell]
V  0.3054  0.5688  0.6147 [1 per cell]
V  0.4456  0.6568  0.8583 [1 per cell]
V  0.4492  0.1505  0.8608 [1 per cell]
V  0.4566  0.6534  0.3709 [1 per cell]
V  0.4581  0.1631  0.3730 [1 per cell]
V  0.5491  0.3170  0.6160 [1 per cell]
V  0.5514  0.8172  0.6150 [1 per cell]
V  0.6940  0.9777  0.8584 [1 per cell]
V  0.6948  0.4785  0.8580 [1 per cell]
V  0.7067  0.4838  0.3691 [1 per cell]
V  0.7083  0.9847  0.3695 [1 per cell]
V  0.7964  0.0690  0.6151 [1 per cell]
V  0.9462  0.1511  0.8580 [1 per cell]
V  0.9459  0.6521  0.8581 [1 per cell]
V  0.9539  0.1583  0.3682 [1 per cell]
V  0.9572  0.6562  0.3691 [1 per cell]
Mo  0.0499  0.3190  0.6154 [1 per cell]
Mo  0.0521  0.8192  0.6159 [1 per cell]
Mo  0.0575  0.3219  0.1228 [1 per cell]
Mo  0.0579  0.8221  0.1227 [1 per cell]
Mo  0.3039  0.0703  0.6162 [1 per cell]
Mo  0.3072  0.0727  0.1211 [1 per cell]
Mo  0.3074  0.5709  0.1212 [1 per cell]
Mo  0.5573  0.3208  0.1215 [1 per cell]
Mo  0.5575  0.8213  0.1194 [1 per cell]
Mo  0.7964  0.5700  0.6151 [1 per cell]
Mo  0.8055  0.0719  0.1208 [1 per cell]
Mo  0.8077  0.5727  0.1226 [1 per cell]
O  0.1025  0.6098  0.8488 [1 per cell]
O  0.1047  0.1068  0.8490 [1 per cell]
O  0.1158  0.3511  0.7590 [1 per cell]
O  0.1160  0.8518  0.7567 [1 per cell]
'''
### So much for the calculated crystals

Cold Spring Orchard is an education and research facility of UMass Amherst and grows over 100 varieties of apples on 50 acres of land. They offer “pick-your-own” apples and also sell a variety of goods including peaches, honey, apple cider, jams, jellies, grapes, blueberries, pears, squash, and pumpkins. They always have between 15 and 20 different varieties of apples available to choose from. They even offer bags of “seconds” to decrease their waste at a discounted price. Cold Spring Orchard also sells some of the best apple cider around. They decrease the amount apples they throw away by using their imperfect fruit to make their cider. Additionally, it is always made with at least 6 different varieties of apples, giving it a unique, rich flavor. They are located only 14 miles from campus in Belchertown, MA with a beautiful view of the Mt. Holyoke Range.  

Shawn McIntire is the Farm Manager of Cold Spring Orchard, and has been for more than 7 years. Shawn’s favorite part about the job is getting to teach visitors and employees everything that he knows. Shawn insists that he is “not the kind of boss that is going to sit inside behind a desk, I’d rather be right out there with you.” He argues that “education is our best defense” against climate change and other threats to our environment. Cold Spring Orchard offers tours for schools and is a research and education facility of UMass Amherst. They are dedicated to sustainability in their everyday practices and in the research that goes on there as well. 
 Cold Spring Orchard uses integrated pest management (IPM) to use pesticides sparingly to control the insects and diseases on their apple trees in a sustainable way. Shawn spends at least 4 hours every Sunday patrolling the orchard for pests and deciding which sections of trees need to be sprayed.  
Picture Shawn McIntire, Farm Manager of Cold Spring Orchard. 

Many fruit growing operations will spray their entire orchard with pesticides even if only a portion of them are being impacted by pests. Shawn and his workers also take care of about 15 beehives every year. Because pesticides are particularly harmful to bee populations, and the Cold Spring Orchard team closely monitor the health of the bees and are sure to avoid pesticides and practices that will harm their hives. 

Bins of multiple varieties of Cold Spring Orchard apples available at their farm store. 

Shawn is very passionate and takes pride in the work that he does. He shared, “It is really rewarding to grow something and sell it to someone. It feels like I am doing something with my life, like I have a purpose.” It is clear from interacting with Shawn that he cares deeply about the Amherst community, all of his customers and employees, and about the orchard’s impact on the earth. Kristen and Jim are two of the people Shawn works the most closely with. He explained the Cold Spring team are all like a big family. He added that, “I’m just one person and I do a lot, but there are a lot of people behind me that might not get the credit and those people deserve it as much as me.” 

Shawn urges everyone who wants to make a difference in their local community to support their local businesses. He explains that, “sometimes things might cost a little more around here, and it’s just because there are more challenges to grow those things, but you are getting something a lot fresher, something that is more valuable.” Most fruits and vegetables in the United States travel more miles to reach the grocery store than the average american does in a year. Buying locally not only supports local farmers like Shawn and their sustainable practices, but it also decreases the fossil fuel emissions burned to get them to you. 

Cold Spring Orchard apples are served in all four dining commons until at least December each year. To learn more about Cold Spring Orchard and meet Shawn McIntire, come to UMass Dining’s apple week! The event is from 6:00-9:00pm in Hampshire on November 8th and Franklin.